GEDCOM (English: GEnealogical Data COMmunication) is the specification of a data format that allows the exchange of data between different genealogy computer programs. It was developed by The Church of Jesus Christ of Latter-day Saints (Mormon Church), to support its members in genealogical research. Meanwhile, however, GEDCOM has established itself as the de facto standard and is supported by all popular genealogy programs as well as many genealogy websites on the Internet. The GEDCOM format (file extension:. ged) is text-based and contains the data of the individual persons of a family tree as well as information about their family relationships.

The specifications of a number of different versions of GEDCOM can be downloaded here (the documentation language is indicated by flag icons):

A very brief explanation of the GEDCOM format is given below. There is a lot of further information about GEDCOM on the internet. See for example

GEDCOM File Structure

A GEDCOM file is a sequential series of genealogical information (personal, family, source data ...), which are grouped in sets called records. The contents of a record are structured hierarchically in individual lines. Each line contains a hierarchical level (Level) and a unique identifier (tag), both of which contain information about the data in the line, followed by the actual data value. Relationships between individual data sets (parents, children, spouse ...) are represented by cross-reference pointers and cross-reference IDs (identifiers).

A new record always begins at the hierarchy level 0 with information about the record type, generally prefixed with a unique key phrase, enclosed between two "@" characters.

Materials data, as found in the file:
____________
For TbPmCl3, the PBE geometry in Alexandria gives the calculated X-ray diffraction stick pattern in this record (Cu Kα (weighted mean of Kα1 and Kα2)).

Cell: 15.8288 3.9157 10.6002 Å, 90.00 119.26 90.00°
Space group C2/m (No. 12)
Asymmetric unit:
Tb1 0.0867 0.0000 0.4519
Pm1 0.1401 0.5000 0.7917
Cl1 0.0473 0.5000 0.2470
Cl2 0.1577 0.0000 0.0070
Cl3 0.2247 0.5000 0.6147

Top 6 peaks for 10° ≤ 2θ ≤ 90°, sorted by position:
2θ = 11.66°, d = 7.590 Å, I 93, hkl 2 0 -1
2θ = 26.72°, d = 3.337 Å, I 100, hkl 1 1 1
2θ = 28.50°, d = 3.132 Å, I 55, hkl 1 1 -2
2θ = 32.60°, d = 2.747 Å, I 56, hkl 1 1 2
2θ = 35.28°, d = 2.544 Å, I 38, hkl 6 0 -1
2θ = 36.67°, d = 2.450 Å, I 46, hkl 5 1 -2



For Dy3Pt, the PBE geometry in Alexandria gives the calculated X-ray diffraction stick pattern in this record (Cu Kα (weighted mean of Kα1 and Kα2)).

Cell: 3.6778 5.2567 11.0032 Å, 90.00 90.00 90.00°
Space group Immm (No. 71)
Asymmetric unit:
Dy1 0.0000 0.0000 0.0000
Dy2 0.0000 0.5000 0.1999
Pt1 0.0000 0.0000 0.5000

Top 6 peaks for 10° ≤ 2θ ≤ 90°, sorted by position:
2θ = 32.55°, d = 2.751 Å, I 15, hkl 0 0 4
2θ = 33.92°, d = 2.643 Å, I 100, hkl 1 1 2
2θ = 34.11°, d = 2.628 Å, I 30, hkl 0 2 0
2θ = 44.62°, d = 2.031 Å, I 16, hkl 0 1 5
2θ = 60.94°, d = 1.520 Å, I 19, hkl 1 3 2
2θ = 61.55°, d = 1.507 Å, I 12, hkl 2 2 0



For Na2In2Hg, the PBE geometry in Alexandria gives the calculated X-ray diffraction stick pattern in this record (Cu Kα (weighted mean of Kα1 and Kα2)).

Cell: 11.3420 5.0599 10.0777 Å, 90.00 106.68 90.00°
Space group C2/m (No. 12)
Asymmetric unit:
Na1 0.0833 0.0000 0.3736
Na2 0.1695 0.0000 0.0596
In1 0.0087 0.5000 0.8598
In2 0.1145 0.5000 0.6198
Hg1 0.2495 0.0000 0.6979

Top 6 peaks for 10° ≤ 2θ ≤ 90°, sorted by position:
2θ = 19.35°, d = 4.587 Å, I 63, hkl 1 1 0
2θ = 20.82°, d = 4.267 Å, I 45, hkl 2 0 -2
2θ = 27.88°, d = 3.201 Å, I 45, hkl 2 0 -3
2θ = 31.98°, d = 2.799 Å, I 45, hkl 1 1 -3
2θ = 33.83°, d = 2.650 Å, I 100, hkl 3 1 1
2θ = 35.48°, d = 2.530 Å, I 55, hkl 0 2 0
____________

Example of the first line in an INDIVIDUAL record, i.e. a record containing information about a specific person
: 0 @I1@ INDI

The individual record consists of different data elements with a digit (level number) at the beginning of each line. The italicised text in brackets on the right below is explanatory, and does not form part of the line
: 1 NAME Peter John /Smith/    (Name)
  2 GIVN Peter John                 (Given name)
  2 SURN Smith                        (Surname)
  1 BIRT                                   (Birth: the following lines at the next level (2) contain details thereof)
  2 DATE 17 OCT 1937           (Date of birth)
  2 PLAC Smithfield Township, Monroe County, Pennsylvania, USA                  (Place of birth)

Links to other records are represented as follows
: 1 FAMC @F1@                       (cross reference to the family record of the parents)

The type indicators in the GEDCOM format are standardized and can be used only in the described form and structure. The GEDCOM standard does, however, allow the use of custom program-specific indicators. These must start with an underscore, e.g. "_UID"

_Attached: crystal structures_
Starting from a DFT-relaxed cell (PBE, Alexandria), the X-ray powder pattern of Na4SnO4 was simulated for Cu Kα (λ = 1.5418 Å).

Top 6 peaks for 2θ = 10–90°, sorted by position:
| d_spacing | 2theta | Rel. int. |
| --- | --- | --- |
| 5.246 | 16.90 | 100 |
| 4.721 | 18.80 | 99 |
| 4.613 | 19.24 | 86 |
| 2.789 | 32.09 | 89 |
| 2.407 | 37.36 | 85 |
| 2.365 | 38.04 | 88 |

Unit cell a=5.9465 b=5.9648 c=8.9596 alpha=82.42 beta=71.04 gamma=68.69
Space group P-1 (No. 2)
Asymmetric unit:
Na (0.0186, 0.2627, 0.4363) [2 per cell]
Na (0.1135, 0.7204, 0.1948) [2 per cell]
Na (0.2565, 0.2419, 0.0075) [2 per cell]
Na (0.4364, 0.2488, 0.5952) [2 per cell]
Sn (0.3415, 0.7226, 0.7652) [2 per cell]
O (0.1256, 0.5174, 0.8062) [2 per cell]
O (0.2004, 0.9847, 0.6215) [2 per cell]
O (0.3208, 0.4776, 0.3712) [2 per cell]
O (0.3511, 0.8405, 0.9573) [2 per cell]

***

Starting from a DFT-relaxed cell (PBE, Alexandria), the X-ray powder pattern of Na2SnO2 was simulated for Cu Kα (λ = 1.5418 Å).

Top 6 peaks for 2θ = 10–90°, sorted by position:
| d_spacing | 2theta | Rel. int. |
| --- | --- | --- |
| 4.880 | 18.18 | 64 |
| 3.808 | 23.36 | 100 |
| 2.825 | 31.67 | 75 |
| 2.766 | 32.36 | 74 |
| 2.334 | 38.57 | 88 |
| 1.745 | 52.43 | 63 |

Unit cell a=5.2567 b=6.7013 c=9.7596 alpha=90.00 beta=90.00 gamma=90.00
Space group P2_12_12_1 (No. 19)
Asymmetric unit:
Na (0.0082, 0.1231, 0.0768) [4 per cell]
Na (0.0103, 0.1310, 0.7587) [4 per cell]
Sn (0.0174, 0.6018, 0.0711) [4 per cell]
O (0.0015, 0.8925, 0.5802) [4 per cell]
O (0.0851, 0.3420, 0.5564) [4 per cell]

***

Starting from a DFT-relaxed cell (PBE, Alexandria), the X-ray powder pattern of Na4SnO3 was simulated for Cu Kα (λ = 1.5418 Å).

Top 6 peaks for 2θ = 10–90°, sorted by position:
| d_spacing | 2theta | Rel. int. |
| --- | --- | --- |
| 5.246 | 16.90 | 36 |
| 4.660 | 19.05 | 100 |
| 3.937 | 22.58 | 39 |
| 2.765 | 32.38 | 68 |
| 2.425 | 37.08 | 35 |
| 2.390 | 37.64 | 75 |

Unit cell a=5.8787 b=16.8511 c=5.9547 alpha=90.00 beta=110.10 gamma=90.00
Space group Cc (No. 9)
Asymmetric unit:
Na (0.0000, 0.0339, 0.0000) [4 per cell]
Na (0.0156, 0.4570, 0.0352) [4 per cell]
Na (0.0181, 0.2466, 0.0020) [4 per cell]
Na (0.4674, 0.3588, 0.0590) [4 per cell]
Sn (0.0220, 0.3565, 0.5029) [4 per cell]
O (0.2201, 0.3381, 0.2806) [4 per cell]
O (0.2551, 0.4335, 0.7394) [4 per cell]
O (0.2761, 0.0632, 0.7926) [4 per cell]

* * * * *

(1)
Theoretical powder XRD pattern
Compound: Ce6HoS8
Radiation: Cu Kα
Structure: a cell relaxed with PBE

Top 10 peaks for 2θ from 10° to 80°, in order of rising 2θ:
hkl 1 1 1, 13.5°, 6.555 Å, rel. 18; hkl 3 1 1, 26.0°, 3.423 Å, rel. 10; hkl 2 2 2, 27.2°, 3.278 Å, rel. 64; hkl 4 0 0, 31.5°, 2.839 Å, rel. 100; hkl 4 4 0, 45.2°, 2.007 Å, rel. 72; hkl 6 2 2, 53.5°, 1.712 Å, rel. 32; hkl 4 4 4, 56.1°, 1.639 Å, rel. 25; hkl 8 0 0, 65.8°, 1.419 Å, rel. 11; hkl 6 6 2, 72.6°, 1.302 Å, rel. 13; hkl 8 4 0, 74.8°, 1.269 Å, rel. 32

Crystal structure
```
data_Ce6HoS8
_chemical_formula_sum 'Ce24 Ho4 S32'

Structures in GedTool

Calculated powder diffractogram of NaMnPO4 for λ = 1.5418 Å (Cu Kα), from DFT lattice parameters and positions (GGA+U).

Crystal structure
```
data_NaMnPO4
_space_group_name_H-M_alt 'P n m a'
_space_group_IT_number 62
_cell_length_a 9.212
_cell_length_b 6.976
_cell_length_c 5.172
_cell_angle_alpha 90.00
_cell_angle_beta 90.00
_cell_angle_gamma 90.00
loop_
_space_group_symop_operation_xyz
'x,y,z'
'-x,-y,-z'
'-x+1/2,-y,z+1/2'
'x+1/2,y,-z+1/2'
'x+1/2,-y+1/2,-z+1/2'
'-x+1/2,y+1/2,z+1/2'
'-x,y+1/2,-z'
'x,-y+1/2,z'
loop_
_atom_site_label
_atom_site_type_symbol
_atom_site_fract_x
_atom_site_fract_y
_atom_site_fract_z
_atom_site_occupancy
Na1 Na 0.150 0.250 0.027 1
Mn1 Mn 0.000 0.000 0.500 1
P1 P 0.176 0.750 0.029 1
O1 O 0.120 0.750 0.743 1
O2 O 0.121 0.569 0.170 1
O3 O 0.153 0.250 0.543 1
```

Peak list (10 most intense, 10 to 80 degrees two-theta, in order of rising 2θ)
Back to the article >

GedTool pools all similar records (personal, family, source data ...) together in an Excel worksheet. Every single record, for example concerning a person, forms a separate row in Excel. The respective indicators are mapped into the columns; there may be a number of lines in the header row due to multiple levels of hierarchy. The data values themselves are written in the appropriate cells (row of the person, column of the indicator). Multiply used indicators within a record are numbered internally (using hidden lines in the headings).